Brief:
The reader should transcribe the whole of the lines below without additions.

Source:
-- begin --
The following is a GGA-PBE calculation of crystalline KLi2Nb3N6 at its relaxed geometry, from Alexandria.

POSCAR file:
```
KLi2Nb3N6
1.0
3.1476 0.0000 0.0000
0.0000 7.3127 -0.1445
-1.5738 -2.5324 6.7754
N Li Nb K
6 2 3 1
Direct
0.6624 0.6122 0.3248 N
0.6767 0.0183 0.3534 N
0.3233 0.9817 0.6466 N
0.0109 0.6997 0.0218 N
0.9891 0.3003 0.9782 N
0.3376 0.3878 0.6752 N
0.8433 0.5839 0.6866 Li
0.1567 0.4161 0.3134 Li
0.1744 0.8267 0.3489 Nb
0.5000 0.5000 0.0000 Nb
0.8256 0.1733 0.6511 Nb
0.5000 0.0000 0.0000 K
```

Summary:
For the formation energy from raw total energies, the calculation gives -0.71 eV per atom. The total magnetization comes out at 0.00 μB per cell. The calculation puts the calculated total energy at -93.58 eV/f.u.


Density functional theory data (PBE+U) for NaErMnO3 after structural relaxation.

Cell and atoms, written as POSCAR:
```
NaErMnO3
1.0
3.516 0.000 0.000
-1.758 6.511 0.000
0.000 0.000 8.907
O Er Mn Na
6 2 2 2
Direct
0.391 0.781 0.530
0.609 0.219 0.470
0.391 0.781 0.970
0.987 0.974 0.250
0.609 0.219 0.030
0.013 0.026 0.750
0.000 0.000 0.500
0.000 0.000 0.000
0.601 0.202 0.250
0.399 0.798 0.750
0.647 0.294 0.750
0.353 0.706 0.250
```

Computed properties:
Total DFT energy (no corrections) (eV/atom): -6.92


w:
Compound: Sr2TaSe
Source: the Alexandria database
Functional: GGA-PBE
Structure: optimized geometry

Properties
The crystal system is orthorhombic.

Lattice parameters (Å, degrees): 6.6547 6.6547 6.6547 149.18 129.55 60.30
Last column: nearest neighbours and their distance in Å.
Element x y z (fractional)
Sr: 0.0000 0.0000 0.0000  4 Se 3.38, 4 Sr 3.54-3.57, 4 Ta 3.74-3.75
Sr: 0.6884 0.1884 0.5000  2 Se 3.22, 4 Ta 3.53, 4 Sr 3.54-3.57
Ta: 0.2868 0.7868 0.5000  2 Se 2.62
Se: 0.4543 0.4543 0.0000  2 Ta 2.62



x:
Compound: Sr2TaSe
Source: the Alexandria database
Functional: GGA-PBE
Structure: optimized geometry

Properties
The crystal system is orthorhombic.

Lattice parameters (Å, degrees): 4.2528 4.8682 6.5856 90.00 90.00 90.00
Last column: nearest neighbours and their distance in Å.
Element x y z (fractional)
Sr: 0.0000 0.0000 0.0000  4 Se 3.23, 2 Ta 3.29
Sr: 0.5000 0.5000 0.4966  4 Ta 3.23, 2 Se 3.29-3.30
Ta: 0.0000 0.0000 0.5001  6 Sr 3.23-3.29
Se: 0.5000 0.5000 0.9974  6 Sr 3.23-3.30



Which is the most stable structure? w is the most stable.



w:
Compound: Sr2TaSe
Source: the Alexandria database
Functional: GGA-PBE
Structure: optimized geometry

Properties
The crystal system is cubic.

Lattice parameters (Å, degrees): 5.5921 5.5921 5.5921 60.00 60.00 60.00
Last column: nearest neighbours and their distance in Å.
Element x y z (fractional)
Sr: 0.2500 0.2500 0.2500  4 Ta 3.42, 4 Se 3.42
Sr: 0.7500 0.7500 0.7500  4 Ta 3.42, 4 Se 3.42
Ta: 0.0000 0.0000 0.0000  8 Sr 3.42
Se: 0.5000 0.5000 0.5000  8 Sr 3.42



x:
Compound: Sr2TaSe
Source: the Alexandria database
Functional: GGA-PBE
Structure: optimized geometry

Properties
The crystal system is tetragonal.

Lattice parameters (Å, degrees): 3.5654 3.5654 9.2946 90.00 90.00 90.00
Last column: nearest neighbours and their distance in Å.
Element x y z (fractional)
Sr: 0.0000 0.0000 0.0000  1 Ta 3.30, 4 Se 3.39, 4 Sr 3.57
Sr: 0.5000 0.5000 0.3888  1 Se 3.42, 4 Ta 3.47, 4 Sr 3.57
Ta: 0.0000 0.0000 0.6446  4 Se 2.73
Se: 0.5000 0.5000 0.7564  4 Ta 2.73



y:
Compound: Sr2TaSe
Source: the Alexandria database
Functional: GGA-PBE
Structure: optimized geometry

Properties
The crystal system is tetragonal.

Lattice parameters (Å, degrees): 3.5732 3.5732 8.9252 90.00 90.00 90.00
Last column: nearest neighbours and their distance in Å.
Element x y z (fractional)
Sr: 0.0000 0.0000 0.2124  4 Se 3.16
Sr: 0.0000 0.0000 0.7876  4 Se 3.16
Ta: 0.5000 0.5000 0.5000  4 Ta 3.57, 8 Sr 3.60
Se: 0.5000 0.5000 0.0000  8 Sr 3.16



Which is the most stable structure? x is the most stable.



w:
Compound: SrTaSe2
Source: the Alexandria database
Functional: GGA-PBE
Structure: optimized geometry

Properties
The crystal system is tetragonal.
-- stop --

Here it is:
The following is a GGA-PBE calculation of crystalline KLi2Nb3N6 at its relaxed geometry, from Alexandria.

POSCAR file:
```
KLi2Nb3N6
1.0
3.1476 0.0000 0.0000
0.0000 7.3127 -0.1445
-1.5738 -2.5324 6.7754
N Li Nb K
6 2 3 1
Direct
0.6624 0.6122 0.3248 N
0.6767 0.0183 0.3534 N
0.3233 0.9817 0.6466 N
0.0109 0.6997 0.0218 N
0.9891 0.3003 0.9782 N
0.3376 0.3878 0.6752 N
0.8433 0.5839 0.6866 Li
0.1567 0.4161 0.3134 Li
0.1744 0.8267 0.3489 Nb
0.5000 0.5000 0.0000 Nb
0.8256 0.1733 0.6511 Nb
0.5000 0.0000 0.0000 K
```

Summary:
For the formation energy from raw total energies, the calculation gives -0.71 eV per atom. The total magnetization comes out at 0.00 μB per cell. The calculation puts the calculated total energy at -93.58 eV/f.u.


Density functional theory data (PBE+U) for NaErMnO3 after structural relaxation.

Cell and atoms, written as POSCAR:
```
NaErMnO3
1.0
3.516 0.000 0.000
-1.758 6.511 0.000
0.000 0.000 8.907
O Er Mn Na
6 2 2 2
Direct
0.391 0.781 0.530
0.609 0.219 0.470
0.391 0.781 0.970
0.987 0.974 0.250
0.609 0.219 0.030
0.013 0.026 0.750
0.000 0.000 0.500
0.000 0.000 0.000
0.601 0.202 0.250
0.399 0.798 0.750
0.647 0.294 0.750
0.353 0.706 0.250
```

Computed properties:
Total DFT energy (no corrections) (eV/atom): -6.92


w:
Compound: Sr2TaSe
Source: the Alexandria database
Functional: GGA-PBE
Structure: optimized geometry

Properties
The crystal system is orthorhombic.

Lattice parameters (Å, degrees): 6.6547 6.6547 6.6547 149.18 129.55 60.30
Last column: nearest neighbours and their distance in Å.
Element x y z (fractional)
Sr: 0.0000 0.0000 0.0000  4 Se 3.38, 4 Sr 3.54-3.57, 4 Ta 3.74-3.75
Sr: 0.6884 0.1884 0.5000  2 Se 3.22, 4 Ta 3.53, 4 Sr 3.54-3.57
Ta: 0.2868 0.7868 0.5000  2 Se 2.62
Se: 0.4543 0.4543 0.0000  2 Ta 2.62



x:
Compound: Sr2TaSe
Source: the Alexandria database
Functional: GGA-PBE
Structure: optimized geometry

Properties
The crystal system is orthorhombic.

Lattice parameters (Å, degrees): 4.2528 4.8682 6.5856 90.00 90.00 90.00
Last column: nearest neighbours and their distance in Å.
Element x y z (fractional)
Sr: 0.0000 0.0000 0.0000  4 Se 3.23, 2 Ta 3.29
Sr: 0.5000 0.5000 0.4966  4 Ta 3.23, 2 Se 3.29-3.30
Ta: 0.0000 0.0000 0.5001  6 Sr 3.23-3.29
Se: 0.5000 0.5000 0.9974  6 Sr 3.23-3.30



Which is the most stable structure? w is the most stable.



w:
Compound: Sr2TaSe
Source: the Alexandria database
Functional: GGA-PBE
Structure: optimized geometry

Properties
The crystal system is cubic.

Lattice parameters (Å, degrees): 5.5921 5.5921 5.5921 60.00 60.00 60.00
Last column: nearest neighbours and their distance in Å.
Element x y z (fractional)
Sr: 0.2500 0.2500 0.2500  4 Ta 3.42, 4 Se 3.42
Sr: 0.7500 0.7500 0.7500  4 Ta 3.42, 4 Se 3.42
Ta: 0.0000 0.0000 0.0000  8 Sr 3.42
Se: 0.5000 0.5000 0.5000  8 Sr 3.42



x:
Compound: Sr2TaSe
Source: the Alexandria database
Functional: GGA-PBE
Structure: optimized geometry

Properties
The crystal system is tetragonal.

Lattice parameters (Å, degrees): 3.5654 3.5654 9.2946 90.00 90.00 90.00
Last column: nearest neighbours and their distance in Å.
Element x y z (fractional)
Sr: 0.0000 0.0000 0.0000  1 Ta 3.30, 4 Se 3.39, 4 Sr 3.57
Sr: 0.5000 0.5000 0.3888  1 Se 3.42, 4 Ta 3.47, 4 Sr 3.57
Ta: 0.0000 0.0000 0.6446  4 Se 2.73
Se: 0.5000 0.5000 0.7564  4 Ta 2.73



y:
Compound: Sr2TaSe
Source: the Alexandria database
Functional: GGA-PBE
Structure: optimized geometry

Properties
The crystal system is tetragonal.

Lattice parameters (Å, degrees): 3.5732 3.5732 8.9252 90.00 90.00 90.00
Last column: nearest neighbours and their distance in Å.
Element x y z (fractional)
Sr: 0.0000 0.0000 0.2124  4 Se 3.16
Sr: 0.0000 0.0000 0.7876  4 Se 3.16
Ta: 0.5000 0.5000 0.5000  4 Ta 3.57, 8 Sr 3.60
Se: 0.5000 0.5000 0.0000  8 Sr 3.16



Which is the most stable structure? x is the most stable.



w:
Compound: SrTaSe2
Source: the Alexandria database
Functional: GGA-PBE
Structure: optimized geometry

Properties
The crystal system is tetragonal.